# Exercise
Quote the rows below from the line with "-4.2286, -1.4325]," to the end verbatim.

# Listing
<<<
{"formula": "C4H5NiO3", "method": "ωB97M-V/def2-TZVPD", "elements": ["Ni", "C", "O", "C", "O", "H", "H", "H", "H", "O", "H", "C", "C"], "coordinates": [[-2.1577, 3.3205, 1.9708], [-0.5399, 1.1519, 1.2700], [-1.1917, 0.6683, 0.3134], [0.4797, -0.2513, -0.6916], [-0.8532, 2.1754, 1.9361], [-0.2002, -2.2934, -0.8158], [0.6623, 0.6394, -1.3065], [1.1316, -1.8765, -1.9295], [1.0828, -1.2230, 1.1069], [0.7495, 0.8034, 1.3587], [-0.5155, -1.3182, -2.2767], [1.1478, -0.2905, 0.5312], [0.2046, -1.5063, -1.4670]], "total_energy_ha": -1889.19774, "spin_multiplicity": 4, "gap_ev": [3.2, 3.9], "relative_energy_ev": 1.479, "fmax_ev_per_a": 4.71}

---

{"formula": "CH35NO16", "method": "ωB97M-V/def2-TZVPD", "elements": ["H", "H", "H", "H", "H", "O", "H", "H", "O", "H", "H", "H", "O", "H", "H", "H", "O", "H", "H", "O", "H", "H", "N", "H", "H", "O", "H", "H", "O", "O", "H", "H", "H", "H", "O", "H", "O", "H", "H", "H", "H", "H", "H", "H", "H", "O", "O", "O", "H", "O", "O", "C", "O"], "coordinates": [[0.1210, 2.9417, -0.6865], [0.1984, 1.0742, 1.2508], [0.6077, -1.0917, 3.4294], [-1.1586, 0.0125, 3.1094], [-0.4804, 2.9100, 3.5573], [-0.8620, 2.9927, 2.6500], [-1.4829, 1.6425, -1.5401], [0.4833, 0.1735, -1.0490], [-0.0268, -0.8235, 4.0684], [-0.8119, -2.4658, 0.7949], [0.5889, 2.0646, -2.8997], [1.2869, -0.7615, 1.5295], [-3.5221, 1.4500, 0.7726], [-1.8858, -4.2286, -1.4325], [-1.2284, 2.1296, 2.4675], [0.8331, 0.0668, -3.6107], [2.4465, -1.5680, -1.3593], [0.0059, -3.6617, -0.3318], [-1.5568, -0.3276, 1.6101], [-2.3802, 1.2206, -1.6517], [3.2755, -1.0953, 1.4092], [-1.9630, -0.3773, -1.8691], [1.0542, 1.1921, 0.7420], [-1.5262, -1.5468, -0.2788], [-2.8310, 1.3441, -0.8250], [0.1208, 2.1163, -1.2427], [-4.1934, 0.7857, 0.8575], [1.4662, 2.0798, 1.1054], [-1.4903, -1.7364, 0.6917], [0.4502, 4.0571, 0.5899], [3.1564, 0.2578, 0.8331], [-1.1748, -2.9744, -1.9341], [2.0567, -2.3569, -0.9933], [1.9789, 1.2472, -1.1897], [1.5502, -1.5684, 2.0232], [-0.0433, 3.7399, 1.3917], [0.4985, -3.5403, 0.5224], [0.6960, -4.4275, 0.8541], [3.0175, -1.1962, -0.6141], [1.7957, 2.2657, -3.8982], [0.3356, 5.0101, 0.5150], [-0.6908, -1.1050, -2.5141], [1.2538, -2.3469, 1.5274], [1.5120, -1.0685, -2.7780], [-2.8241, 1.1481, 1.3381], [-1.4157, -1.2339, -1.9502], [-1.0055, -3.8648, -1.6076], [0.7888, -0.8579, -3.3540], [-0.3079, -1.5001, 4.4710], [-1.5271, 0.4188, 2.2583], [3.6924, -0.5180, 0.7804], [0.9551, 1.1017, -0.7123], [0.9797, 1.7912, -3.7575]], "total_energy_ha": -1317.75603, "gap_ev": 10.5, "relative_energy_ev": 0.000, "fmax_ev_per_a": 10.16}

---

{"formula": "C13H3Cl4CrNO6", "method": "ωB97M-V/def2-TZVPD", "elements": ["C", "H", "O", "H", "C", "Cl", "Cl", "O", "C", "N", "Cl", "C", "Cl", "C", "O", "C", "O", "O", "O", "C", "C", "H", "C", "Cr", "C", "C", "C", "C"], "coordinates": [[2.0223, -0.0527, 3.0601], [3.9354, 0.2805, 2.1407], [1.0898, 0.3234, -1.8529], [2.3807, -0.1098, 4.0776], [0.3081, 0.1242, -0.8502], [-1.5877, 1.7715, -4.6406], [-0.6498, -3.1722, -2.6968], [-1.9444, -0.1723, -0.7222], [0.6821, -0.1953, 2.7989], [0.2559, -0.1224, 1.5394], [-1.2182, -1.1630, -4.9353], [-1.3434, 0.9179, -3.1461], [-1.4750, 3.3803, -2.0387], [-1.1541, -0.5852, -3.2970], [-1.4289, 1.5981, 0.4841], [-0.9255, -1.5130, -2.3493], [-0.3017, -0.5350, 4.9477], [-1.6113, -0.5159, 3.1157], [-0.9805, -1.9629, 0.1264], [-0.4685, -0.4361, 3.7538], [2.8727, 0.1643, 1.9662], [2.9916, 0.3970, -0.2012], [2.3819, 0.2320, 0.6762], [-1.6026, -0.3219, 1.1951], [-1.0924, 1.0401, -0.6929], [-0.8204, -1.1200, -0.9099], [-1.3263, 1.6693, -2.0296], [1.0102, 0.0789, 0.4809]], "total_energy_ha": -3888.68643, "spin_multiplicity": 4, "total_charge": -1, "gap_ev": [6.7, 6.9], "relative_energy_ev": 0.000, "fmax_ev_per_a": 0.38}

---
>>>

# Outcome
{"formula": "CH35NO16", "method": "ωB97M-V/def2-TZVPD", "elements": ["H", "H", "H", "H", "H", "O", "H", "H", "O", "H", "H", "H", "O", "H", "H", "H", "O", "H", "H", "O", "H", "H", "N", "H", "H", "O", "H", "H", "O", "O", "H", "H", "H", "H", "O", "H", "O", "H", "H", "H", "H", "H", "H", "H", "H", "O", "O", "O", "H", "O", "O", "C", "O"], "coordinates": [[0.1210, 2.9417, -0.6865], [0.1984, 1.0742, 1.2508], [0.6077, -1.0917, 3.4294], [-1.1586, 0.0125, 3.1094], [-0.4804, 2.9100, 3.5573], [-0.8620, 2.9927, 2.6500], [-1.4829, 1.6425, -1.5401], [0.4833, 0.1735, -1.0490], [-0.0268, -0.8235, 4.0684], [-0.8119, -2.4658, 0.7949], [0.5889, 2.0646, -2.8997], [1.2869, -0.7615, 1.5295], [-3.5221, 1.4500, 0.7726], [-1.8858, -4.2286, -1.4325], [-1.2284, 2.1296, 2.4675], [0.8331, 0.0668, -3.6107], [2.4465, -1.5680, -1.3593], [0.0059, -3.6617, -0.3318], [-1.5568, -0.3276, 1.6101], [-2.3802, 1.2206, -1.6517], [3.2755, -1.0953, 1.4092], [-1.9630, -0.3773, -1.8691], [1.0542, 1.1921, 0.7420], [-1.5262, -1.5468, -0.2788], [-2.8310, 1.3441, -0.8250], [0.1208, 2.1163, -1.2427], [-4.1934, 0.7857, 0.8575], [1.4662, 2.0798, 1.1054], [-1.4903, -1.7364, 0.6917], [0.4502, 4.0571, 0.5899], [3.1564, 0.2578, 0.8331], [-1.1748, -2.9744, -1.9341], [2.0567, -2.3569, -0.9933], [1.9789, 1.2472, -1.1897], [1.5502, -1.5684, 2.0232], [-0.0433, 3.7399, 1.3917], [0.4985, -3.5403, 0.5224], [0.6960, -4.4275, 0.8541], [3.0175, -1.1962, -0.6141], [1.7957, 2.2657, -3.8982], [0.3356, 5.0101, 0.5150], [-0.6908, -1.1050, -2.5141], [1.2538, -2.3469, 1.5274], [1.5120, -1.0685, -2.7780], [-2.8241, 1.1481, 1.3381], [-1.4157, -1.2339, -1.9502], [-1.0055, -3.8648, -1.6076], [0.7888, -0.8579, -3.3540], [-0.3079, -1.5001, 4.4710], [-1.5271, 0.4188, 2.2583], [3.6924, -0.5180, 0.7804], [0.9551, 1.1017, -0.7123], [0.9797, 1.7912, -3.7575]], "total_energy_ha": -1317.75603, "gap_ev": 10.5, "relative_energy_ev": 0.000, "fmax_ev_per_a": 10.16}

---

{"formula": "C13H3Cl4CrNO6", "method": "ωB97M-V/def2-TZVPD", "elements": ["C", "H", "O", "H", "C", "Cl", "Cl", "O", "C", "N", "Cl", "C", "Cl", "C", "O", "C", "O", "O", "O", "C", "C", "H", "C", "Cr", "C", "C", "C", "C"], "coordinates": [[2.0223, -0.0527, 3.0601], [3.9354, 0.2805, 2.1407], [1.0898, 0.3234, -1.8529], [2.3807, -0.1098, 4.0776], [0.3081, 0.1242, -0.8502], [-1.5877, 1.7715, -4.6406], [-0.6498, -3.1722, -2.6968], [-1.9444, -0.1723, -0.7222], [0.6821, -0.1953, 2.7989], [0.2559, -0.1224, 1.5394], [-1.2182, -1.1630, -4.9353], [-1.3434, 0.9179, -3.1461], [-1.4750, 3.3803, -2.0387], [-1.1541, -0.5852, -3.2970], [-1.4289, 1.5981, 0.4841], [-0.9255, -1.5130, -2.3493], [-0.3017, -0.5350, 4.9477], [-1.6113, -0.5159, 3.1157], [-0.9805, -1.9629, 0.1264], [-0.4685, -0.4361, 3.7538], [2.8727, 0.1643, 1.9662], [2.9916, 0.3970, -0.2012], [2.3819, 0.2320, 0.6762], [-1.6026, -0.3219, 1.1951], [-1.0924, 1.0401, -0.6929], [-0.8204, -1.1200, -0.9099], [-1.3263, 1.6693, -2.0296], [1.0102, 0.0789, 0.4809]], "total_energy_ha": -3888.68643, "spin_multiplicity": 4, "total_charge": -1, "gap_ev": [6.7, 6.9], "relative_energy_ev": 0.000, "fmax_ev_per_a": 0.38}

---